Filter the entries underneath: keep the lines with the word "the", please.

-- begin --
Compound: K2Na4Ca5Si12O34
Source: the Materials Project database
Functional: PBE-GGA
Structure: relaxed

Lattice parameters (Å, degrees): 10.452 10.452 12.857 70.82 109.18 137.18
Sites, in units of the cell vectors:
O 0.022 0.978 0.219
O 0.526 0.832 0.349
O 0.809 0.684 0.758
O 0.537 0.971 0.131
O 0.312 0.688 0.501
O 0.316 0.185 0.385
O 0.693 0.307 0.825
O 0.732 0.813 0.853
O 0.673 0.814 0.226
O 0.826 0.526 0.640
O 0.029 0.463 0.131
O 0.855 0.145 0.284
O 0.618 0.382 0.073
O 0.245 0.401 0.639
O 0.186 0.327 0.226
O 0.187 0.268 0.853
O 0.407 0.982 0.847
O 0.727 0.641 0.168
O 0.815 0.684 0.385
O 0.018 0.593 0.847
O 0.168 0.474 0.349
O 0.669 0.331 0.279
O 0.316 0.191 0.758
O 0.961 0.039 0.690
O 0.474 0.174 0.640
O 0.359 0.641 0.946
O 0.359 0.273 0.168
O 0.871 0.129 0.951
O 0.220 0.780 0.292
O 0.782 0.218 0.700
O 0.145 0.855 0.047
O 0.328 0.672 0.716
O 0.599 0.755 0.639
O 0.124 0.876 0.681
Si 0.812 0.779 0.261
Si 0.776 0.821 0.741
Si 0.305 0.695 0.370
Si 0.371 0.629 0.630
Si 0.221 0.188 0.261
Si 0.179 0.224 0.741
Si 0.647 0.941 0.242
Si 0.334 0.058 0.738
Si 0.699 0.301 0.699
Si 0.590 0.410 0.179
Si 0.059 0.353 0.242
Si 0.942 0.666 0.738
Na 0.003 0.997 0.994
Na 0.746 0.254 0.004
Na 0.488 0.512 0.941
Na 0.554 0.446 0.472
Ca 0.252 0.748 0.999
Ca 0.590 0.920 0.834
Ca 0.397 0.044 0.164
Ca 0.080 0.410 0.834
Ca 0.956 0.603 0.164
K 0.829 0.171 0.503
K 0.158 0.842 0.493

Calculated values
ΔH_f (0 K)   -2924 meV/atom
Volume   893.32 Å³/cell
Space group   Cm, No. 8
Magnetic moment   4.0 μB/f.u.
Raw total energy   -6.92 eV per atom

---

Compound: YThB8Rh8
Source: the Materials Project database
Functional: PBE-GGA
Structure: relaxed

Lattice parameters (Å, degrees): 5.363 5.363 7.558 90.00 90.00 90.00
Sites, in units of the cell vectors:
Y 0.000 0.000 0.500
B 0.500 0.168 0.650
B 0.666 0.000 0.151
B 0.334 0.000 0.151
B 0.832 0.500 0.350
B 0.500 0.832 0.650
B 0.000 0.334 0.849
B 0.000 0.666 0.849
B 0.168 0.500 0.350
Rh 0.751 0.000 0.853
Rh 0.250 0.500 0.642
Rh 0.249 0.000 0.853
Rh 0.000 0.249 0.147
Rh 0.500 0.750 0.358
Rh 0.750 0.500 0.642
Rh 0.500 0.250 0.358
Rh 0.000 0.751 0.147
Th 0.500 0.500 0.000

Calculated values
ΔH_f (0 K)   -579 meV/atom
Volume   217.39 Å³/cell
Space group   P-4m2, No. 115
Magnetic moment   0.0 μB/f.u.
Raw total energy   -7.59 eV per atom

---

Q: Which formula does entry 2 have?
A: YThB8Rh8

---

Repeat the second record exactly.
Compound: YThB8Rh8
Source: the Materials Project database
Functional: PBE-GGA
Structure: relaxed

Lattice parameters (Å, degrees): 5.363 5.363 7.558 90.00 90.00 90.00
Sites, in units of the cell vectors:
Y 0.000 0.000 0.500
B 0.500 0.168 0.650
B 0.666 0.000 0.151
B 0.334 0.000 0.151
B 0.832 0.500 0.350
B 0.500 0.832 0.650
B 0.000 0.334 0.849
B 0.000 0.666 0.849
B 0.168 0.500 0.350
Rh 0.751 0.000 0.853
Rh 0.250 0.500 0.642
Rh 0.249 0.000 0.853
Rh 0.000 0.249 0.147
Rh 0.500 0.750 0.358
Rh 0.750 0.500 0.642
Rh 0.500 0.250 0.358
Rh 0.000 0.751 0.147
Th 0.500 0.500 0.000

Calculated values
ΔH_f (0 K)   -579 meV/atom
Volume   217.39 Å³/cell
Space group   P-4m2, No. 115
Magnetic moment   0.0 μB/f.u.
Raw total energy   -7.59 eV per atom

---

Q: What is the raw total energy in the first record?
A: -6.92 eV per atom

---

Q: Look up the ΔH_f (0 K) of the first one.
A: -2924 meV/atom


1.
Hf2Ni7 | the Materials Project database | r2SCAN | relaxed; crystal system = monoclinic; E_form = -0.438 eV/atom
1.0
2.305 -4.052 0.000
2.305 4.052 0.000
-1.718 0.000 5.957
Hf Ni
2 7
Direct
0.107 0.107 0.272
0.893 0.893 0.728
0.000 0.500 0.000
0.207 0.536 0.655
0.464 0.793 0.345
0.500 0.000 0.000
0.500 0.500 0.000
0.536 0.207 0.655
0.793 0.464 0.345

2.
B2O3 | the Materials Project database | r2SCAN | relaxed; crystal system = orthorhombic; E_form = -2.550 eV/atom
1.0
3.909 -2.309 0.000
3.909 2.309 0.000
0.000 0.000 4.133
B O
4 6
Direct
0.006 0.324 0.000
0.324 0.006 0.500
0.676 0.994 0.000
0.994 0.676 0.500
0.079 0.339 0.649
0.245 0.755 0.568
0.339 0.079 0.149
0.661 0.921 0.649
0.755 0.245 0.068
0.921 0.661 0.149

3.
-- stop --

Source: the Materials Project database
Sites, in units of the cell vectors:
Source: the Materials Project database
Sites, in units of the cell vectors:
Repeat the second record exactly.
Source: the Materials Project database
Sites, in units of the cell vectors:
Q: What is the raw total energy in the first record?
Q: Look up the ΔH_f (0 K) of the first one.
Hf2Ni7 | the Materials Project database | r2SCAN | relaxed; crystal system = monoclinic; E_form = -0.438 eV/atom
B2O3 | the Materials Project database | r2SCAN | relaxed; crystal system = orthorhombic; E_form = -2.550 eV/atom